Find "3.23 0.45" and "-0.96 -3.23" in the block below, and duplicate these two lines and those between.

+++
Entry 1:
Below is a structure of composition C40H26AuF5O2S3, with properties calculated with wB97M-V/def2-TZVPD.

Values from the calculation:
Energy relative to the best compared isomer or geometry (same formula, charge and spin) in kcal per mole: 46.1
Charge: +2
DFT total energy in Ha: -3519.261251
HOMO energy (alpha / beta) in eV: -12.743 / -12.749
Orbital gap (alpha / beta) in Ha: 0.0903 / 0.0936

The geometry in XYZ format:
```
77
Properties=species:S:1:pos:R:3:mulliken_charge:R:1
Au -0.30 0.28 0.37 0.57
F -3.83 6.34 -0.54 -0.19
C -3.46 5.10 -0.48 0.71
C -2.14 4.81 -0.09 -0.16
F -1.33 5.81 0.20 -0.24
C -1.73 3.51 -0.01 0.42
F -0.50 3.25 0.34 -0.08
C -2.64 2.43 -0.34 0.25
S -2.30 0.82 -0.30 -0.12
C -3.98 2.80 -0.76 0.37
F -4.82 1.85 -1.07 -0.22
C -4.39 4.10 -0.82 0.20
F -5.60 4.44 -1.19 -0.21
C 0.73 -8.08 1.45 -1.47
C 0.81 -6.78 0.71 0.91
C 1.71 -5.78 1.09 -0.98
C 1.80 -4.59 0.39 -0.04
C 0.96 -4.38 -0.69 0.25
C 0.04 -5.35 -1.08 -0.53
C -0.03 -6.54 -0.38 -0.67
S 1.01 -2.89 -1.64 -0.19
O 0.72 -1.77 -0.66 -0.31
C 2.78 -2.86 -1.98 0.98
C 3.28 -4.07 -2.53 -0.92
C 4.61 -4.20 -2.80 -1.09
C 5.51 -3.15 -2.49 0.92
C 6.91 -3.29 -2.70 -0.92
C 7.76 -2.28 -2.38 -0.70
C 7.26 -1.08 -1.84 -0.83
C 5.92 -0.91 -1.64 -0.89
C 5.01 -1.94 -1.97 1.07
C 3.59 -1.78 -1.77 -0.56
C 3.12 -0.37 -1.64 -0.39
C 3.17 0.44 -2.82 1.59
C 3.41 -0.12 -4.10 -0.73
C 3.53 0.69 -5.20 -0.87
C 3.39 2.09 -5.09 -0.71
C 3.09 2.65 -3.88 -1.05
C 2.95 1.84 -2.73 0.95
C 2.59 2.40 -1.47 -1.14
C 2.48 1.61 -0.37 -0.43
C 2.77 0.23 -0.47 0.45
S 2.59 -0.74 1.02 1.28
O 1.29 -0.13 1.61 -0.74
C 3.84 -0.03 2.06 0.45
C 5.13 -0.50 1.87 -0.25
C 6.14 -0.02 2.68 -1.11
C 5.87 0.89 3.70 0.94
C 6.97 1.39 4.59 -1.44
C 4.56 1.33 3.87 -0.93
C 3.53 0.87 3.07 -0.48
H 1.44 -8.11 2.27 0.36
H 0.95 -8.91 0.78 0.35
H -0.27 -8.24 1.85 0.36
H 2.36 -5.96 1.94 0.34
H 2.51 -3.83 0.70 0.35
H -0.61 -5.17 -1.93 0.46
H -0.75 -7.29 -0.68 0.43
H 2.61 -4.89 -2.73 0.56
H 4.99 -5.11 -3.24 0.46
H 7.28 -4.22 -3.11 0.47
H 8.83 -2.39 -2.54 0.42
H 7.95 -0.29 -1.57 0.48
H 5.56 0.02 -1.21 0.51
H 3.50 -1.19 -4.21 0.37
H 3.72 0.24 -6.16 0.47
H 3.52 2.71 -5.96 0.43
H 2.95 3.72 -3.79 0.47
H 2.42 3.47 -1.40 0.52
H 2.22 2.04 0.59 0.68
H 5.35 -1.23 1.10 0.48
H 7.15 -0.38 2.53 0.37
H 7.87 0.80 4.48 0.36
H 6.66 1.35 5.64 0.39
H 7.21 2.43 4.36 0.32
H 4.34 2.03 4.67 0.41
H 2.51 1.19 3.23 0.45
```



Entry 2:
Below is a structure of composition C40H26BrCaClF7N2O4PSSb, with properties calculated with wB97M-V/def2-TZVPD.

Values from the calculation:
Energy relative to the best compared isomer or geometry (same formula, charge and spin) in kcal per mole: 0.0
Charge: +1
DFT total energy in Ha: -7340.661356
HOMO energy in eV: -10.954
Orbital gap in Ha: 0.2695

The geometry in XYZ format:
```
85
Properties=species:S:1:pos:R:3:mulliken_charge:R:1
Ca 1.12 -0.74 1.06 0.81
F -6.64 -0.82 0.19 -0.30
C -5.42 -1.30 0.38 0.67
C -5.18 -2.65 0.28 0.23
F -6.17 -3.48 0.00 -0.29
C -3.90 -3.14 0.49 0.19
F -3.75 -4.46 0.41 -0.38
C -2.82 -2.31 0.76 -0.35
P -1.12 -2.97 1.04 1.22
C -1.31 -3.90 2.59 0.48
C -0.96 -3.23 3.76 -0.55
C -1.12 -3.84 5.00 -0.70
C -1.62 -5.13 5.07 -0.55
C -1.97 -5.81 3.90 -0.83
C -1.82 -5.20 2.67 -0.13
C -0.95 -4.23 -0.27 1.06
C -0.13 -5.33 -0.05 -1.38
C 0.13 -6.24 -1.06 -0.83
C -0.45 -6.06 -2.31 -0.66
C -1.27 -4.97 -2.54 -1.15
C -1.52 -4.06 -1.53 -0.52
C -3.10 -0.95 0.86 0.10
Br -1.76 0.34 1.25 -0.09
C -4.37 -0.44 0.68 0.56
F -4.61 0.86 0.77 -0.35
H -0.56 -2.23 3.72 0.39
H -0.84 -3.32 5.90 0.48
H -1.74 -5.62 6.03 0.40
H -2.36 -6.82 3.95 0.43
H -2.10 -5.73 1.77 0.39
H 0.31 -5.49 0.93 0.72
H 0.77 -7.10 -0.87 0.49
H -0.25 -6.78 -3.10 0.44
H -1.74 -4.84 -3.51 0.50
H -2.16 -3.21 -1.73 0.40
O 2.16 -2.17 2.89 -0.58
Cl 2.23 -0.93 3.65 1.61
O 3.01 0.00 2.85 -0.56
O 2.73 -1.10 4.95 -0.70
O 0.85 -0.42 3.65 -0.57
S 1.30 1.57 -0.83 -0.51
C 1.14 2.44 0.58 -0.16
N 1.27 3.80 0.61 0.07
C 1.17 4.53 1.74 -0.11
C 0.94 3.90 2.92 -1.06
C 0.81 2.50 2.87 0.05
N 0.89 1.81 1.75 0.31
H 1.45 4.25 -0.28 0.28
H 1.29 5.60 1.63 0.44
H 0.87 4.44 3.85 0.43
+++

H 2.51 1.19 3.23 0.45
```



Entry 2:
Below is a structure of composition C40H26BrCaClF7N2O4PSSb, with properties calculated with wB97M-V/def2-TZVPD.

Values from the calculation:
Energy relative to the best compared isomer or geometry (same formula, charge and spin) in kcal per mole: 0.0
Charge: +1
DFT total energy in Ha: -7340.661356
HOMO energy in eV: -10.954
Orbital gap in Ha: 0.2695

The geometry in XYZ format:
```
85
Properties=species:S:1:pos:R:3:mulliken_charge:R:1
Ca 1.12 -0.74 1.06 0.81
F -6.64 -0.82 0.19 -0.30
C -5.42 -1.30 0.38 0.67
C -5.18 -2.65 0.28 0.23
F -6.17 -3.48 0.00 -0.29
C -3.90 -3.14 0.49 0.19
F -3.75 -4.46 0.41 -0.38
C -2.82 -2.31 0.76 -0.35
P -1.12 -2.97 1.04 1.22
C -1.31 -3.90 2.59 0.48
C -0.96 -3.23 3.76 -0.55